Eggs are a smart choice to help keep hunger and weight in check
- - -
DFT (ωB97M-V with the def2-TZVPD basis set) results for a structure of composition C2H6N3S at a distorted geometry.

Geometry as XYZ:
```
12
Properties=species:S:1:pos:R:3:mulliken_charge:R:1
C -2.26 -0.63 -0.38 0.0352
C -0.33 -0.91 0.69 -0.3390
N -1.31 -1.43 -0.16 -0.2966
N -0.42 0.53 0.66 -0.0514
N 1.10 1.13 -0.31 -0.5569
S -1.85 0.97 0.21 0.1535
H -3.08 -0.73 -1.07 0.4010
H -0.53 -1.37 1.69 0.3044
H 0.74 -1.35 0.57 0.3012
H 0.66 2.01 -0.62 0.3430
H 1.09 0.46 -1.12 0.3756
H 2.01 1.32 0.22 0.3300
```

Properties
maximum force: 4.2 eV/A
HOMO level (alpha / beta): -0.51801 / -0.51796 Eh
relative energy (zero: lowest compared OMol25 entry of this formula, charge and spin): 83.7 kcal/mol
total charge: +1
energy: -17466.50930 eV

***

DFT (ωB97M-V with the def2-TZVPD basis set) results for the molecule C2H6N4 at a distorted geometry.

Geometry as XYZ:
```
12
Properties=species:S:1:pos:R:3:mulliken_charge:R:1
C 0.79 0.09 -0.28 0.5188
C -1.97 0.27 0.43 -0.4544
H 2.72 0.17 0.55 0.2862
H 1.75 -1.20 1.00 0.2756
H -0.13 1.71 -0.88 0.2857
H 0.07 -1.54 -1.14 0.2784
H -1.19 0.58 1.16 0.3807
H -3.05 0.58 0.30 0.2783
N 2.02 -0.54 0.15 -0.6562
N 0.76 1.37 -0.42 -0.6457
N -0.20 -0.88 -0.39 0.0042
N -1.55 -0.59 -0.46 -0.5517
```

Properties
maximum force: 3.3 eV/A
HOMO level: -0.33653 Eh
relative energy (zero: lowest compared OMol25 entry of this formula, charge and spin): 54.9 kcal/mol
energy: -8129.71347 eV

***

DFT (ωB97M-V with the def2-TZVPD basis set) results for a structure of composition C2H6N4O at a distorted geometry.

Geometry as XYZ:
```
13
Properties=species:S:1:pos:R:3:mulliken_charge:R:1
C 1.58 -0.05 -0.01 -0.0737
C -0.84 -1.08 -0.07 0.3400
H -0.12 2.24 -0.74 0.2713
H -0.23 1.89 0.88 0.2023
H 2.02 1.00 0.12 0.3101
H 3.24 -1.42 0.14 0.3021
H -1.84 0.54 -0.23 0.4125
H -2.99 -0.91 -0.32 0.3259
N -0.37 1.47 0.03 -0.6130
N 0.13 0.04 -0.43 0.0365
N 2.13 -1.09 0.29 -0.4575
N -2.05 -0.38 0.48 -0.5918
O -0.66 -2.26 -0.14 -0.4645
```

Properties
maximum force: 7.8 eV/A
HOMO level: -0.33983 Eh
relative energy (zero: lowest compared OMol25 entry of this formula, charge and spin): 142.0 kcal/mol
energy: -10173.90205 eV

***

DFT (ωB97M-V with the def2-TZVPD basis set) results for a cluster of 2 separate species, C2H6N4O2 in total at a distorted geometry.

Geometry as XYZ:
```
14
Properties=species:S:1:pos:R:3:mulliken_charge:R:1
C -1.12 0.26 -0.06 -0.0160
C 1.02 0.64 -0.02 0.6906
H -3.29 0.84 0.02 0.2454
H -4.00 -0.36 -0.45 0.2670
H -1.11 1.32 0.21 0.3949
H 1.92 2.23 -0.36 0.2606
H 3.11 0.26 1.06 0.3185
H 1.17 -1.65 -1.03 0.4216
N -3.37 -0.17 0.25 -0.5206
N -2.10 -0.64 -0.07 -0.2199
N 0.94 1.96 -0.09 -0.6933
N 2.38 -0.04 0.11 -0.3102
O 0.11 -0.33 -0.08 -0.3593
O 2.12 -1.64 0.03 -0.4794
```

Properties
maximum force: 6.1 eV/A
HOMO level: -0.34594 Eh
relative energy (zero: lowest compared OMol25 entry of this formula, charge and spin): 190.5 kcal/mol
energy: -12218.39305 eV

***
- - -
By Valerie Johnson, MHSc, RDIn Canada, almost 2 out of every 3 adults (60%) aged 18 to 79 are overweight or obese.1 For many it’s a struggle to achieve and maintain a healthy weight. While many factors play a role, simple strategies to keep hunger in check, such as eating an egg-based breakfast, may help.
Studies have found that eating eggs for breakfast reduces hunger more than a higher-carbohydrate breakfast.2-5 Researchers think this may be in large part due to the fact that eggs are an excellent source of protein. It is well established that protein can help people feel full longer than carbohydrates or fat, so it makes sense that leveraging the power of protein in eggs may also help people manage their weight.6
An egg-based breakfast is a smart choice since each large egg provides many important nutrients, including six grams of high quality protein, with only 70 calories. Plus, research shows that not all breakfasts are created equal, even if they have the same number of calories.2-6 The advantage of an egg-based breakfast is that people feel less hungry and eat fewer calories later in the day, than they do after eating a carbohydrate-rich breakfast.
A recent study compared the effects of three breakfast meals with equal calories: two poached eggs on toast; cereal with milk and toast; and a croissant and orange juice.2 Compared to the other two meals, the egg breakfast increased satiety (the feeling of fullness after a meal) and reduced hunger and the desire to eat. Plus, the healthy young men in the study ate far fewer calories at lunch and dinner after the egg-based meal.
Research with overweight teenage girls who routinely skip breakfast also reinforces the benefits of eating a higher protein breakfast including eggs.3 Compared to a cereal-based breakfast or skipping breakfast, the higher protein breakfast with eggs improved daily fullness the most. Further, in the teens who ate the higher protein breakfast, researchers saw less activation of brain regions responsible for food cravings. This was particularly true in the evening, when these teens ate fewer high fat snacks compared to the others in the study.
What comes next are data records, not part of the article:
# 1
Below is an isolated molecule of C5H10NP at a distorted geometry, with properties calculated with wB97M-V/def2-TZVPD.

The geometry in XYZ format:
```
17
Properties=species:S:1:pos:R:3:forces:R:3
C -0.3068 0.4690 -0.0760 -0.998 -0.539 -0.670
C 0.1180 0.4654 1.1975 -0.482 0.024 -2.320
C -0.6302 -0.0331 2.3755 -2.956 1.635 -0.602
C 1.4505 1.0685 1.4529 0.873 0.605 -1.777
C -0.1014 -1.5282 -2.9095 -1.538 -0.620 -1.798
N -0.9150 0.5337 -1.2493 2.583 -1.713 2.687
P -1.1530 0.0514 -2.9006 0.463 -1.618 -0.404
H 0.0057 -0.4702 3.0735 1.026 -0.527 1.427
H -1.3435 0.7715 2.8400 1.720 -1.132 -0.591
H -1.3288 -0.7613 2.0318 -0.542 -0.835 -0.072
H 1.5475 1.4790 2.4337 -0.111 0.665 0.545
H 1.5435 1.7885 0.6182 0.464 0.323 0.927
H 2.3245 0.4320 1.3039 -0.287 -0.570 0.124
H 0.6089 -1.4741 -3.7565 0.536 0.337 1.159
H 0.1851 -1.6359 -1.8835 1.171 -0.181 0.283
H -0.5968 -2.5052 -3.1992 -0.266 1.165 0.594
H -1.4083 1.3488 -1.3522 -1.654 2.980 0.487
```
Forces are in eV/Å.

Results
LUMO level (spin up / spin down) (eV): 0.70 / 0.70
HOMO (spin up / spin down) (eV): -6.43 / -6.43
Total charge: 0

***

# 2
Below is the ion C4H8Cl2N with charge +1 at a distorted geometry, with properties calculated with wB97M-V/def2-TZVPD.

The geometry in XYZ format:
```
15
Properties=species:S:1:pos:R:3:forces:R:3
C 1.6010 0.6565 -0.5800 1.161 -0.189 -2.483
C 0.4675 0.2916 0.3147 0.643 -0.976 -3.017
C 1.2656 -0.7914 -0.4039 0.185 -0.170 0.013
C -1.7498 -0.0723 0.8438 -0.109 -2.687 0.288
N -0.9029 0.4119 -0.2593 0.681 0.040 3.264
Cl 2.4007 -1.8631 0.3509 -0.238 0.259 0.365
Cl 0.4526 -1.5956 -1.7659 0.082 0.034 0.222
H 1.3373 0.9675 -1.6460 0.488 0.063 1.682
H 2.6500 0.9014 -0.2512 -1.602 0.214 0.025
H 0.4558 0.5113 1.3219 0.274 0.041 1.978
H -1.4979 -1.1180 1.1813 0.021 0.926 -1.038
H -1.6140 0.4742 1.7037 0.757 1.739 1.738
H -2.7782 -0.0265 0.6957 -1.750 0.037 -1.102
H -1.0420 1.3735 -0.4250 -0.682 1.545 -0.524
H -1.0457 -0.1211 -1.0807 0.089 -0.875 -1.413
```
Forces are in eV/Å.

Results
LUMO level (eV): -3.28
HOMO (eV): -14.58
Total charge: +1
SMILES: C[NH2+][C@@H]1CC1(Cl)Cl

***

# 3
Below is a structure of composition C22H35NO3P2SZn at a distorted geometry, with properties calculated with wB97M-V/def2-TZVPD.

The geometry in XYZ format:
```
65
Properties=species:S:1:pos:R:3:forces:R:3
P 0.5437 -3.2822 0.1987 -0.699 3.227 -1.063
P -0.1359 3.4925 0.7515 -0.295 -1.746 -0.629
C 0.0580 -1.6855 -0.3651 -0.053 -0.955 -0.091
C 0.2518 1.8664 -0.0829 0.429 -0.859 -0.537
H -0.8457 -1.8422 -1.0057 1.341 -0.186 0.201
H 0.9779 -1.2387 -0.8139 -1.037 -0.215 0.071
H 1.1353 1.4156 0.4260 -0.546 0.139 -0.470
H 0.5609 2.2689 -1.0724 0.150 -0.076 0.751
C -1.5345 3.7032 -0.4470 -0.353 0.715 0.181
H -2.2818 4.3310 0.0432 -0.180 0.093 -0.468
H -1.9640 2.7055 -0.6134 -0.026 0.465 0.196
H -1.2056 4.1428 -1.3948 -0.180 0.010 0.022
C 1.2956 4.3635 -0.0601 0.048 0.276 0.550
H 1.0191 5.0523 -0.8677 0.014 -0.035 0.234
H 1.9817 3.5971 -0.4415 -0.055 0.340 0.132
H 1.7766 4.8896 0.7746 0.197 0.173 -0.520
The results of another study also suggest that this fullness effect may translate to greater success with weight loss over time. Researchers found eating eggs for breakfast enhanced weight loss in overweight and obese adults.6 Over eight weeks, participants on a weight loss diet eating a breakfast with two eggs lost almost twice as much weight as those eating a bagel-based breakfast. This benefit was observed even though both meals were matched for weight and calories.
In 2014, a longer-term study also concluded that eating a higher protein diet may help people keep more weight off after weight loss.7 Overweight and obese participants who had lost weight, kept off almost twice as much weight over 12 months on a higher protein diet.
With all their nutritional goodness, eggs make sense as a part of a healthy diet. So it’s great to know eggs are also a smart choice as a natural ally to help keep hunger and weight in check.
Valerie Johnson is a Registered Dietitian and nutrition writer driven by a passion for inspiring people to eat well. She is a member of the College of Dietitians of Ontario, Canadian Nutrition Society and Dietitians of Canada.
¹ Statistics Canada. Canada Health Measures Survey – Body composition of Canadian adults, 2009-2011. Health Fact Sheets, 2012; 82-625-X Available at:
² Fallaize R et al. Variation in the effects of three different breakfast meals on subjective satiety and subsequent intake of energy at lunch and evening meal. European Journal of Nutrition, 2013; 52(4):1353-9. ³ ³Leidy HJ et al. Beneficial effects of a higher-protein breakfast on the appetitive, hormonal, and neural signals controlling energy intake regulation in overweight/obese, “breakfast-skipping,” late-adolescent girls. American Journal of Clinical Nutrition, 2013; 97(4):677-88.
⁴ Ratliff J et al. Consuming eggs for breakfast influences plasma glucose and ghrelin, while reducing energy intake during next 24 hours in adult men. Nutrition Research, 2010; 30:96-103.
⁵ Vander Wal JS et al. Short-term effect of eggs on satiety in overweight and obese subjects. Journal of the American College of Nutrition, 2005; 24(6):510–5.
⁶ Vander Wal JS et al. Egg breakfast enhances weight loss. International Journal of Obesity, 2008; 32:1545-51.
⁷ Aller EE et al. Weight loss maintenance in overweight subjects on ad libitum diets with high or low protein content and glycemic index: the DIOGENES trial 12 months results. International Journal of Obesity, 2014; 38(12):1511-7.